Brief:
Now echo all of the notes further below exactly.

Contents:
'''
CdSiN2: relaxed, PBE.

**E**: -6.30 eV per atom

Unit cell a=5.4333 b=6.7660 c=5.3027 alpha=90.00 beta=90.00 gamma=90.00
With the nearest neighbours (Å) after each atom.
Fractional positions:
Cd1 0.0768 0.1241 0.0000  4 N 2.29-2.31
Cd2 0.4232 0.6241 0.5000  4 N 2.29-2.31
Cd3 0.5768 0.3759 0.0000  4 N 2.29-2.31
Cd4 0.9232 0.8759 0.5000  4 N 2.29-2.31
Si1 0.0624 0.6248 0.0028  4 N 1.75-1.77
Si2 0.4376 0.1248 0.5028  4 N 1.75-1.77
Si3 0.5624 0.8752 0.0028  4 N 1.75-1.77
Si4 0.9376 0.3752 0.5028  4 N 1.75-1.77
N1 0.0372 0.5797 0.3288  2 Si 1.75-1.76
N2 0.1254 0.1701 0.4271  2 Si 1.77
N3 0.3746 0.6701 0.9271  2 Si 1.77
N4 0.4628 0.0797 0.8288  2 Si 1.75-1.76
N5 0.5372 0.9203 0.3288  2 Si 1.75-1.76
N6 0.6254 0.3299 0.4271  2 Si 1.77
N7 0.8746 0.8299 0.9271  2 Si 1.77
N8 0.9628 0.4203 0.8288  2 Si 1.75-1.76

* * * * *

# 1
{"formula": "Sr2LuTaO6", "functional": "PBE", "state": "optimized geometry", "delta_e_f_ev_per_atom": -3.601, "total_magnetization_mub_per_fu": 0.0, "energy_corrected_mp2020_ev_per_atom": -8.5457, "sg": "Pnn2, No. 34", "lattice_angstrom": [[5.891, 0.000, 0.000], [0.000, 8.298, 0.000], [0.000, 0.000, 5.863]], "species": ["Sr", "Sr", "Sr", "Sr", "Lu", "Lu", "Ta", "Ta", "O", "O", "O", "O", "O", "O", "O", "O", "O", "O", "O", "O"], "fractional_positions": [[0.016, 0.248, 0.000], [0.484, 0.748, 0.500], [0.516, 0.252, 0.500], [0.984, 0.752, 0.000], [0.000, 0.000, 0.501], [0.500, 0.500, 0.001], [0.000, 0.500, 0.501], [0.500, 0.000, 0.001], [0.010, 0.740, 0.484], [0.232, 0.503, 0.749], [0.250, 0.493, 0.271], [0.250, 0.993, 0.771], [0.268, 0.003, 0.249], [0.490, 0.240, 0.984], [0.510, 0.760, 0.984], [0.732, 0.997, 0.249], [0.750, 0.007, 0.771], [0.750, 0.507, 0.271], [0.768, 0.497, 0.749], [0.990, 0.260, 0.484]]}
'''

Written answer:
CdSiN2: relaxed, PBE.

**E**: -6.30 eV per atom

Unit cell a=5.4333 b=6.7660 c=5.3027 alpha=90.00 beta=90.00 gamma=90.00
With the nearest neighbours (Å) after each atom.
Fractional positions:
Cd1 0.0768 0.1241 0.0000  4 N 2.29-2.31
Cd2 0.4232 0.6241 0.5000  4 N 2.29-2.31
Cd3 0.5768 0.3759 0.0000  4 N 2.29-2.31
Cd4 0.9232 0.8759 0.5000  4 N 2.29-2.31
Si1 0.0624 0.6248 0.0028  4 N 1.75-1.77
Si2 0.4376 0.1248 0.5028  4 N 1.75-1.77
Si3 0.5624 0.8752 0.0028  4 N 1.75-1.77
Si4 0.9376 0.3752 0.5028  4 N 1.75-1.77
N1 0.0372 0.5797 0.3288  2 Si 1.75-1.76
N2 0.1254 0.1701 0.4271  2 Si 1.77
N3 0.3746 0.6701 0.9271  2 Si 1.77
N4 0.4628 0.0797 0.8288  2 Si 1.75-1.76
N5 0.5372 0.9203 0.3288  2 Si 1.75-1.76
N6 0.6254 0.3299 0.4271  2 Si 1.77
N7 0.8746 0.8299 0.9271  2 Si 1.77
N8 0.9628 0.4203 0.8288  2 Si 1.75-1.76

* * * * *

# 1
{"formula": "Sr2LuTaO6", "functional": "PBE", "state": "optimized geometry", "delta_e_f_ev_per_atom": -3.601, "total_magnetization_mub_per_fu": 0.0, "energy_corrected_mp2020_ev_per_atom": -8.5457, "sg": "Pnn2, No. 34", "lattice_angstrom": [[5.891, 0.000, 0.000], [0.000, 8.298, 0.000], [0.000, 0.000, 5.863]], "species": ["Sr", "Sr", "Sr", "Sr", "Lu", "Lu", "Ta", "Ta", "O", "O", "O", "O", "O", "O", "O", "O", "O", "O", "O", "O"], "fractional_positions": [[0.016, 0.248, 0.000], [0.484, 0.748, 0.500], [0.516, 0.252, 0.500], [0.984, 0.752, 0.000], [0.000, 0.000, 0.501], [0.500, 0.500, 0.001], [0.000, 0.500, 0.501], [0.500, 0.000, 0.001], [0.010, 0.740, 0.484], [0.232, 0.503, 0.749], [0.250, 0.493, 0.271], [0.250, 0.993, 0.771], [0.268, 0.003, 0.249], [0.490, 0.240, 0.984], [0.510, 0.760, 0.984], [0.732, 0.997, 0.249], [0.750, 0.007, 0.771], [0.750, 0.507, 0.271], [0.768, 0.497, 0.749], [0.990, 0.260, 0.484]]}